# What to do
Write out the material below with every line break kept.

# File
~~~
Material: LaAsPt2O
Method: DFT, GGA-PBEsol
State: optimized geometry

## Properties
M_tot	0.0	μB/cell
mass density	11.72	g/cm³
V	17.6	Å³/atom
E_form (uncorrected)	-341	meV per atom

Lattice parameters (Å, degrees): 4.3701 4.3701 4.5983 90.00 90.00 90.00
Last column: nearest neighbours and their distance in Å.
Positions (direct):
As: 0.0000 0.0000 0.5000  2 O 2.30
O: 0.0000 0.0000 0.0000  4 Pt 2.19, 2 As 2.30
Pt: 0.5000 0.0000 0.0000  2 O 2.19
Pt: 0.0000 0.5000 0.0000  2 O 2.19
La: 0.5000 0.5000 0.5000  4 As 3.09, 8 Pt 3.17


Material: La4As2S5O4
Method: DFT, GGA-PBEsol
State: optimized geometry

## Properties
M_tot	0.0	μB/cell
mass density	5.22	g/cm³
V	19.7	Å³/atom
E_form (uncorrected)	-2176	meV per atom

Lattice parameters (Å, degrees): 4.0764 8.3765 9.1375 103.32 102.55 90.07
Last column: nearest neighbours and their distance in Å.
Positions (direct):
S: 0.5543 0.8332 0.1984  1 As 2.27
S: 0.3420 0.7247 0.7766  1 As 2.26
S: 0.5662 0.3255 0.2202  1 As 2.23
S: 0.9279 0.0574 0.9727  2 As 2.34-2.43
S: 0.9185 0.4649 0.9701  1 As 2.29
O: 0.7078 0.6464 0.4801  4 La 2.33-2.41
O: 0.7205 0.1566 0.5147  4 La 2.37-2.48
O: 0.2110 0.8992 0.4860  4 La 2.32-2.49
O: 0.2121 0.4000 0.4943  4 La 2.32-2.47
La: 0.1378 0.1185 0.3558  4 O 2.39-2.48
La: 0.7722 0.4447 0.6237  4 O 2.32-2.38
La: 0.7714 0.9204 0.6171  4 O 2.32-2.37
La: 0.1314 0.6078 0.3380  4 O 2.36-2.49
As: 0.5376 0.2621 0.9666  3 S 2.23-2.34
As: 0.7752 0.7816 0.9859  3 S 2.26-2.43


Material: LaAsW2O
Method: DFT, GGA-PBEsol
State: optimized geometry

## Properties
M_tot	1.9	μB/cell
mass density	8.27	g/cm³
V	24.0	Å³/atom
E_form (uncorrected)	1271	meV per atom

Lattice parameters (Å, degrees): 4.5077 4.5077 5.9062 90.00 90.00 90.00
Last column: nearest neighbours and their distance in Å.
Positions (direct):
W: 0.5000 0.0000 0.0000  2 As 2.25
W: 0.0000 0.5000 0.0000  2 As 2.25
As: 0.0000 0.0000 0.0000  4 W 2.25
La: 0.0000 0.0000 0.5000  2 As 2.95, 4 O 3.19
O: 0.5000 0.5000 0.5000  4 La 3.19


Material: LaZnAsO
Method: DFT, GGA-PBEsol
State: optimized geometry

## Properties
M_tot	0.0	μB/cell
mass density	6.67	g/cm³
V	18.4	Å³/atom
E_form (uncorrected)	-1896	meV per atom

Lattice parameters (Å, degrees): 4.0544 4.0544 8.9435 90.00 90.00 90.00
Last column: nearest neighbours and their distance in Å.
Positions (direct):
La: 0.5000 0.0000 0.1354  4 O 2.36
La: 0.0000 0.5000 0.8646  4 O 2.36
Zn: 0.5000 0.5000 0.5000  4 As 2.55
Zn: 0.0000 0.0000 0.5000  4 As 2.55
O: 0.5000 0.5000 0.0000  4 La 2.36
O: 0.0000 0.0000 0.0000  4 La 2.36
As: 0.0000 0.5000 0.3267  4 Zn 2.55
As: 0.5000 0.0000 0.6733  4 Zn 2.55


Material: LaAs12Os4
Method: DFT, GGA-PBEsol
State: optimized geometry

## Properties
E_form	-0.400	eV per atom
M_tot	0.0	μB/cell
mass density	9.60	g/cm³
V	18.3	Å³/atom

Lattice parameters (Å, degrees): 7.3926 7.3926 7.3926 109.47 109.47 109.47
Last column: nearest neighbours and their distance in Å.
Positions (direct):
As: 0.8013 0.1502 0.6512  2 Os 2.45, 2 As 2.56-2.58
As: 0.1502 0.6512 0.8013  2 Os 2.45, 2 As 2.56-2.58
As: 0.8498 0.3488 0.1987  2 Os 2.45, 2 As 2.56-2.58
As: 0.5010 0.8498 0.6512  2 Os 2.45, 2 As 2.56-2.58
As: 0.3488 0.1987 0.8498  2 Os 2.45, 2 As 2.56-2.58
As: 0.8498 0.6512 0.5010  2 Os 2.45, 2 As 2.56-2.58
As: 0.6512 0.8013 0.1502  2 Os 2.45, 2 As 2.56-2.58
As: 0.1502 0.3488 0.4990  2 Os 2.45, 2 As 2.56-2.58
As: 0.6512 0.5010 0.8498  2 Os 2.45, 2 As 2.56-2.58
As: 0.4990 0.1502 0.3488  2 Os 2.45, 2 As 2.56-2.58
As: 0.1987 0.8498 0.3488  2 Os 2.45, 2 As 2.56-2.58
As: 0.3488 0.4990 0.1502  2 Os 2.45, 2 As 2.56-2.58
Os: 0.0000 0.5000 0.0000  6 As 2.45
Os: 0.5000 0.0000 0.0000  6 As 2.45
Os: 0.0000 0.0000 0.5000  6 As 2.45
Os: 0.5000 0.5000 0.5000  6 As 2.45
La: 0.0000 0.0000 0.0000  12 As 3.24


Material: La2AsOs
Method: DFT, GGA-PBEsol
State: optimized geometry

## Properties
E_form	-0.479	eV per atom
M_tot	0.0	μB/cell
mass density	9.50	g/cm³
V	23.7	Å³/atom

Lattice parameters (Å, degrees): 3.7067 4.4732 6.4162 110.40 106.79 90.00
~~~

# Reply
Material: LaAsPt2O
Method: DFT, GGA-PBEsol
State: optimized geometry

## Properties
M_tot	0.0	μB/cell
mass density	11.72	g/cm³
V	17.6	Å³/atom
E_form (uncorrected)	-341	meV per atom

Lattice parameters (Å, degrees): 4.3701 4.3701 4.5983 90.00 90.00 90.00
Last column: nearest neighbours and their distance in Å.
Positions (direct):
As: 0.0000 0.0000 0.5000  2 O 2.30
O: 0.0000 0.0000 0.0000  4 Pt 2.19, 2 As 2.30
Pt: 0.5000 0.0000 0.0000  2 O 2.19
Pt: 0.0000 0.5000 0.0000  2 O 2.19
La: 0.5000 0.5000 0.5000  4 As 3.09, 8 Pt 3.17


Material: La4As2S5O4
Method: DFT, GGA-PBEsol
State: optimized geometry

## Properties
M_tot	0.0	μB/cell
mass density	5.22	g/cm³
V	19.7	Å³/atom
E_form (uncorrected)	-2176	meV per atom

Lattice parameters (Å, degrees): 4.0764 8.3765 9.1375 103.32 102.55 90.07
Last column: nearest neighbours and their distance in Å.
Positions (direct):
S: 0.5543 0.8332 0.1984  1 As 2.27
S: 0.3420 0.7247 0.7766  1 As 2.26
S: 0.5662 0.3255 0.2202  1 As 2.23
S: 0.9279 0.0574 0.9727  2 As 2.34-2.43
S: 0.9185 0.4649 0.9701  1 As 2.29
O: 0.7078 0.6464 0.4801  4 La 2.33-2.41
O: 0.7205 0.1566 0.5147  4 La 2.37-2.48
O: 0.2110 0.8992 0.4860  4 La 2.32-2.49
O: 0.2121 0.4000 0.4943  4 La 2.32-2.47
La: 0.1378 0.1185 0.3558  4 O 2.39-2.48
La: 0.7722 0.4447 0.6237  4 O 2.32-2.38
La: 0.7714 0.9204 0.6171  4 O 2.32-2.37
La: 0.1314 0.6078 0.3380  4 O 2.36-2.49
As: 0.5376 0.2621 0.9666  3 S 2.23-2.34
As: 0.7752 0.7816 0.9859  3 S 2.26-2.43


Material: LaAsW2O
Method: DFT, GGA-PBEsol
State: optimized geometry

## Properties
M_tot	1.9	μB/cell
mass density	8.27	g/cm³
V	24.0	Å³/atom
E_form (uncorrected)	1271	meV per atom

Lattice parameters (Å, degrees): 4.5077 4.5077 5.9062 90.00 90.00 90.00
Last column: nearest neighbours and their distance in Å.
Positions (direct):
W: 0.5000 0.0000 0.0000  2 As 2.25
W: 0.0000 0.5000 0.0000  2 As 2.25
As: 0.0000 0.0000 0.0000  4 W 2.25
La: 0.0000 0.0000 0.5000  2 As 2.95, 4 O 3.19
O: 0.5000 0.5000 0.5000  4 La 3.19


Material: LaZnAsO
Method: DFT, GGA-PBEsol
State: optimized geometry

## Properties
M_tot	0.0	μB/cell
mass density	6.67	g/cm³
V	18.4	Å³/atom
E_form (uncorrected)	-1896	meV per atom

Lattice parameters (Å, degrees): 4.0544 4.0544 8.9435 90.00 90.00 90.00
Last column: nearest neighbours and their distance in Å.
Positions (direct):
La: 0.5000 0.0000 0.1354  4 O 2.36
La: 0.0000 0.5000 0.8646  4 O 2.36
Zn: 0.5000 0.5000 0.5000  4 As 2.55
Zn: 0.0000 0.0000 0.5000  4 As 2.55
O: 0.5000 0.5000 0.0000  4 La 2.36
O: 0.0000 0.0000 0.0000  4 La 2.36
As: 0.0000 0.5000 0.3267  4 Zn 2.55
As: 0.5000 0.0000 0.6733  4 Zn 2.55


Material: LaAs12Os4
Method: DFT, GGA-PBEsol
State: optimized geometry

## Properties
E_form	-0.400	eV per atom
M_tot	0.0	μB/cell
mass density	9.60	g/cm³
V	18.3	Å³/atom

Lattice parameters (Å, degrees): 7.3926 7.3926 7.3926 109.47 109.47 109.47
Last column: nearest neighbours and their distance in Å.
Positions (direct):
As: 0.8013 0.1502 0.6512  2 Os 2.45, 2 As 2.56-2.58
As: 0.1502 0.6512 0.8013  2 Os 2.45, 2 As 2.56-2.58
As: 0.8498 0.3488 0.1987  2 Os 2.45, 2 As 2.56-2.58
As: 0.5010 0.8498 0.6512  2 Os 2.45, 2 As 2.56-2.58
As: 0.3488 0.1987 0.8498  2 Os 2.45, 2 As 2.56-2.58
As: 0.8498 0.6512 0.5010  2 Os 2.45, 2 As 2.56-2.58
As: 0.6512 0.8013 0.1502  2 Os 2.45, 2 As 2.56-2.58
As: 0.1502 0.3488 0.4990  2 Os 2.45, 2 As 2.56-2.58
As: 0.6512 0.5010 0.8498  2 Os 2.45, 2 As 2.56-2.58
As: 0.4990 0.1502 0.3488  2 Os 2.45, 2 As 2.56-2.58
As: 0.1987 0.8498 0.3488  2 Os 2.45, 2 As 2.56-2.58
As: 0.3488 0.4990 0.1502  2 Os 2.45, 2 As 2.56-2.58
Os: 0.0000 0.5000 0.0000  6 As 2.45
Os: 0.5000 0.0000 0.0000  6 As 2.45
Os: 0.0000 0.0000 0.5000  6 As 2.45
Os: 0.5000 0.5000 0.5000  6 As 2.45
La: 0.0000 0.0000 0.0000  12 As 3.24


Material: La2AsOs
Method: DFT, GGA-PBEsol
State: optimized geometry

## Properties
E_form	-0.479	eV per atom
M_tot	0.0	μB/cell
mass density	9.50	g/cm³
V	23.7	Å³/atom

Lattice parameters (Å, degrees): 3.7067 4.4732 6.4162 110.40 106.79 90.00